Excerpt
- - -
(1)
Ho8Sb3O8 (r²SCAN, relaxed); E_tot = -23.56 eV per atom; energy of formation = -59.719 eV per formula unit; magnetization = 0.0 μB per formula unit
1.0
-3.298 -3.536 4.846
-0.210 -2.231 6.468
-8.169 9.857 7.620
Ho Sb O
8 3 8
Direct
0.451 0.458 0.830
0.542 0.549 0.170
0.645 0.643 0.570
0.357 0.355 0.430
0.878 0.879 0.652
0.121 0.122 0.348
0.714 0.727 0.911
0.273 0.286 0.089
0.173 0.171 0.733
0.829 0.827 0.267
0.986 0.014 0.000
0.291 0.304 0.934
0.696 0.709 0.066
0.878 0.887 0.797
0.113 0.122 0.203
0.166 0.163 0.486
0.837 0.834 0.514
0.471 0.472 0.631
0.528 0.529 0.369

---

(2)
Ga2Pd5 (r²SCAN, relaxed); E_tot = -20.24 eV per atom; energy of formation = -3.971 eV per formula unit; magnetization = 0.0 μB per formula unit
1.0
-1.364 2.268 -3.103
-5.141 -1.363 1.263
-1.131 14.654 11.207
Ga Pd
8 20
Direct
0.750 0.202 0.956
0.250 0.798 0.044
0.750 0.702 0.544
0.250 0.298 0.456
0.750 0.667 0.824
0.250 0.333 0.176
0.750 0.167 0.676
0.250 0.833 0.324
0.750 0.141 0.233
0.250 0.859 0.767
0.750 0.641 0.267
0.250 0.359 0.733
0.750 0.668 0.969
0.250 0.332 0.031
0.750 0.168 0.531
0.250 0.832 0.469
0.750 0.034 0.087
0.250 0.966 0.913
0.750 0.534 0.413
0.250 0.466 0.587
0.750 0.164 0.820
0.250 0.836 0.180
0.750 0.664 0.680
0.250 0.336 0.320
0.750 0.035 0.381
0.250 0.965 0.619
0.750 0.535 0.119
0.250 0.465 0.881
- - -
Job
Give back the contents above exactly, please.
Completed
(1)
Ho8Sb3O8 (r²SCAN, relaxed); E_tot = -23.56 eV per atom; energy of formation = -59.719 eV per formula unit; magnetization = 0.0 μB per formula unit
1.0
-3.298 -3.536 4.846
-0.210 -2.231 6.468
-8.169 9.857 7.620
Ho Sb O
8 3 8
Direct
0.451 0.458 0.830
0.542 0.549 0.170
0.645 0.643 0.570
0.357 0.355 0.430
0.878 0.879 0.652
0.121 0.122 0.348
0.714 0.727 0.911
0.273 0.286 0.089
0.173 0.171 0.733
0.829 0.827 0.267
0.986 0.014 0.000
0.291 0.304 0.934
0.696 0.709 0.066
0.878 0.887 0.797
0.113 0.122 0.203
0.166 0.163 0.486
0.837 0.834 0.514
0.471 0.472 0.631
0.528 0.529 0.369

---

(2)
Ga2Pd5 (r²SCAN, relaxed); E_tot = -20.24 eV per atom; energy of formation = -3.971 eV per formula unit; magnetization = 0.0 μB per formula unit
1.0
-1.364 2.268 -3.103
-5.141 -1.363 1.263
-1.131 14.654 11.207
Ga Pd
8 20
Direct
0.750 0.202 0.956
0.250 0.798 0.044
0.750 0.702 0.544
0.250 0.298 0.456
0.750 0.667 0.824
0.250 0.333 0.176
0.750 0.167 0.676
0.250 0.833 0.324
0.750 0.141 0.233
0.250 0.859 0.767
0.750 0.641 0.267
0.250 0.359 0.733
0.750 0.668 0.969
0.250 0.332 0.031
0.750 0.168 0.531
0.250 0.832 0.469
0.750 0.034 0.087
0.250 0.966 0.913
0.750 0.534 0.413
0.250 0.466 0.587
0.750 0.164 0.820
0.250 0.836 0.180
0.750 0.664 0.680
0.250 0.336 0.320
0.750 0.035 0.381
0.250 0.965 0.619
0.750 0.535 0.119
0.250 0.465 0.881